**Given**
# LaFeSn2 (PBE, optimized geometry)
data_LaFeSn2
_cell_length_a 5.052
_cell_length_b 5.052
_cell_length_c 5.052
_cell_angle_alpha 60.00
_cell_angle_beta 60.00
_cell_angle_gamma 60.00
_space_group_name_H-M_alt 'P 1'
_space_group_IT_number 1
loop_
_space_group_symop_operation_xyz
'x,y,z'
loop_
_atom_site_label
_atom_site_fract_x
_atom_site_fract_y
_atom_site_fract_z
_atom_site_occupancy
Fe1 0.000 0.000 0.000 1
Sn1 0.250 0.250 0.250 1
Sn2 0.750 0.750 0.750 1
La1 0.500 0.500 0.500 1
# formation energy	0.10	eV per atom

=====

# La4FeSn8 (PBE, optimized geometry)
data_La4FeSn8
_cell_length_a 4.565
_cell_length_b 4.679
_cell_length_c 17.124
_cell_angle_alpha 90.00
_cell_angle_beta 90.00
_cell_angle_gamma 90.00
_space_group_name_H-M_alt 'P 1'
_space_group_IT_number 1
loop_
_space_group_symop_operation_xyz
'x,y,z'
loop_
_atom_site_label
_atom_site_fract_x
_atom_site_fract_y
_atom_site_fract_z
_atom_site_occupancy
La1 0.000 0.000 0.099 1
La2 0.000 0.500 0.604 1
La3 0.500 0.500 0.397 1
La4 0.500 0.000 0.899 1
Fe1 0.000 0.000 0.304 1
Sn1 0.000 0.000 0.453 1
Sn2 0.000 0.500 0.937 1
Sn3 0.500 0.500 0.057 1
Sn4 0.500 0.000 0.568 1
Sn5 0.000 0.500 0.242 1
Sn6 0.000 0.000 0.749 1
Sn7 0.500 0.000 0.240 1
Sn8 0.500 0.500 0.754 1
# formation energy	-0.59	eV per atom

=====

# LaFeSn2 (PBE, optimized geometry)
data_LaFeSn2
_cell_length_a 5.124
_cell_length_b 5.124
_cell_length_c 9.615
_cell_angle_alpha 74.55
_cell_angle_beta 74.55
_cell_angle_gamma 90.00
_space_group_name_H-M_alt 'P 1'
_space_group_IT_number 1
loop_
_space_group_symop_operation_xyz
'x,y,z'
loop_
_atom_site_label
_atom_site_fract_x
_atom_site_fract_y
_atom_site_fract_z
_atom_site_occupancy
Fe1 0.500 0.500 0.000 1
Fe2 0.250 0.750 0.500 1
Sn1 0.499 0.125 0.250 1
Sn2 0.251 0.625 0.250 1
Sn3 0.375 0.501 0.750 1
Sn4 0.875 0.749 0.750 1
La1 0.000 0.000 0.000 1
La2 0.750 0.250 0.500 1
# formation energy	0.06	eV per atom

=====

# SrLaFe2Sn (PBE, optimized geometry)
data_SrLaFe2Sn
_cell_length_a 4.720
_cell_length_b 5.619
_cell_length_c 4.720
_cell_angle_alpha 90.00
_cell_angle_beta 90.00
_cell_angle_gamma 90.00
_space_group_name_H-M_alt 'P 1'
_space_group_IT_number 1
loop_
_space_group_symop_operation_xyz
'x,y,z'
loop_
_atom_site_label
_atom_site_fract_x
_atom_site_fract_y
_atom_site_fract_z
_atom_site_occupancy
Fe1 0.000 0.000 0.500 1
Fe2 0.500 0.000 0.000 1
Sr1 0.000 0.000 0.000 1
Sn1 0.500 0.500 0.500 1
La1 0.000 0.500 0.000 1
# formation energy	1.76	eV per atom

=====

# La2FeSnTe (PBE, optimized geometry)
data_La2FeSnTe
_cell_length_a 5.357
_cell_length_b 4.798
_cell_length_c 5.357
_cell_angle_alpha 90.00
_cell_angle_beta 90.00
_cell_angle_gamma 90.00
_space_group_name_H-M_alt 'P 1'
_space_group_IT_number 1
loop_
_space_group_symop_operation_xyz
'x,y,z'
loop_
_atom_site_label
_atom_site_fract_x
_atom_site_fract_y
_atom_site_fract_z
_atom_site_occupancy
Fe1 0.000 0.000 0.000 1
Te1 0.000 0.500 0.000 1
Sn1 0.500 0.500 0.500 1
La1 0.000 0.000 0.500 1
La2 0.500 0.000 0.000 1
# formation energy (no corrections)	-446	meV/atom

=====

# La2TlFeSn (PBE, optimized geometry)
data_La2TlFeSn
_cell_length_a 5.241
_cell_length_b 5.241
_cell_length_c 5.011
_cell_angle_alpha 90.00
_cell_angle_beta 90.00
_cell_angle_gamma 90.00
_space_group_name_H-M_alt 'P 1'
_space_group_IT_number 1
loop_
_space_group_symop_operation_xyz
'x,y,z'
loop_
_atom_site_label
_atom_site_fract_x
_atom_site_fract_y
_atom_site_fract_z
_atom_site_occupancy
Fe1 0.000 0.000 0.000 1
Tl1 0.500 0.500 0.500 1
Sn1 0.000 0.000 0.500 1
La1 0.000 0.500 0.000 1
La2 0.500 0.000 0.000 1
# formation energy	-0.32	eV per atom

=====

# LaVFeSn (PBE, optimized geometry)
data_LaVFeSn
_cell_length_a 4.869
_cell_length_b 3.902
_cell_length_c 9.896
_cell_angle_alpha 90.00
_cell_angle_beta 108.83
_cell_angle_gamma 90.00
_space_group_name_H-M_alt 'P 1'
_space_group_IT_number 1
loop_
_space_group_symop_operation_xyz
'x,y,z'
loop_
_atom_site_label
_atom_site_fract_x
_atom_site_fract_y
_atom_site_fract_z
_atom_site_occupancy
La1 0.022 0.000 0.074 1

**To do**
Work out how many lines earlier on have the word "geometry" in them; a number is enough, please.

**Response**
7